'''
The following is a calculated powder X-ray diffraction pattern of Ba2Fe8Ni3Sb2O22. It was derived from a cell relaxed with GGA+U, using Cu Kα, 1.54184 Å.

Top 6 peaks for 15 to 90 degrees two-theta, sorted by position:
2theta, intensity, (hkl)
29.92, 100, 1 1 0
30.55, 18, 0 0 5
35.24, 46, 1 1 3
53.11, 39, 3 0 0
56.62, 27, 2 0 7
62.16, 31, 2 2 0

Crystal structure
a = 5.9743 Å, b = 5.9743 Å, c = 14.6243 Å
α = 90.00°, β = 90.00°, γ = 120.00°
Space group P-3m1 (No. 164)
One atom of each set of equivalent atoms:
Ba 0.3333 0.6667 0.4278 (multiplicity 2)
Fe 0.1678 0.3356 0.1711 (multiplicity 6)
Fe 0.3333 0.6667 0.9561 (multiplicity 2)
Ni 0.0000 0.0000 0.0000 (multiplicity 1)
Ni 0.0000 0.0000 0.3734 (multiplicity 2)
Sb 0.3333 0.6667 0.6760 (multiplicity 2)
O 0.0000 0.0000 0.2346 (multiplicity 2)
O 0.0030 0.5015 0.2458 (multiplicity 6)
O 0.1587 0.3173 0.9134 (multiplicity 6)
O 0.1807 0.3615 0.5919 (multiplicity 6)
O 0.3333 0.6667 0.0924 (multiplicity 2)

~~~~~

Record 1
For DyMg2, a PBE-relaxed structure gives the theoretical powder X-ray diffraction pattern in this record (Cu Kα, 1.54184 Å).

Atomic structure:
```
data_DyMg2
_space_group_name_H-M_alt 'P 6/m m m'
_space_group_IT_number 191
_space_group_name_Hall '-P 6 2'
_cell_length_a 5.2236
_cell_length_b 5.2236
_cell_length_c 3.3086
_cell_angle_alpha 90.00
_cell_angle_beta 90.00
_cell_angle_gamma 120.00
loop_
_atom_site_label
_atom_site_type_symbol
_atom_site_fract_x
_atom_site_fract_y
_atom_site_fract_z
Dy1 Dy 0.0000 0.0000 0.0000
Mg1 Mg 0.3333 0.6667 0.5000
```

Main lines, by angle (10° ≤ 2θ ≤ 90°):
- (1 0 0), 19.62 deg, I 98
- (1 0 1), 33.56 deg, I 100
- (1 1 0), 34.34 deg, I 61
- (2 0 0), 39.85 deg, I 16
- (1 1 1), 44.18 deg, I 16
- (2 0 1), 48.77 deg, I 35
- (2 1 0), 53.60 deg, I 14
- (1 0 2), 59.50 deg, I 10
- (2 1 1), 61.00 deg, I 36
- (3 0 0), 61.49 deg, I 11
- (1 1 2), 66.96 deg, I 17
- (3 1 1), 82.16 deg, I 15

=====

Record 2
For MgAlBi12O20, a PBE-relaxed structure gives the theoretical powder X-ray diffraction pattern in this record (Cu Kα, 1.54184 Å).

Atomic structure:
```
data_MgAlBi12O20
_space_group_name_H-M_alt 'C 1 2 1'
_space_group_IT_number 5
_space_group_name_Hall 'C 2y'
_cell_length_a 14.370
_cell_length_b 11.328
_cell_length_c 10.211
_cell_angle_alpha 90.00
_cell_angle_beta 134.41
_cell_angle_gamma 90.00
loop_
_atom_site_label
_atom_site_type_symbol
_atom_site_fract_x
_atom_site_fract_y
_atom_site_fract_z
Mg1 Mg 0.000 0.000 0.000
Al1 Al 0.000 0.774 0.000
Bi1 Bi 0.003 0.529 0.180
Bi2 Bi 0.015 0.218 0.826
Bi3 Bi 0.153 0.887 0.859
Bi4 Bi 0.177 0.803 0.483
Bi5 Bi 0.181 0.524 0.680
Bi6 Bi 0.183 0.154 0.674
O1 O 0.007 0.109 0.366
O2 O 0.025 0.593 0.655
O3 O 0.093 0.875 0.190
O4 O 0.103 0.688 0.999
O5 O 0.131 0.346 0.398
O6 O 0.149 0.026 0.006
O7 O 0.153 0.349 0.879
O8 O 0.184 0.636 0.376
O9 O 0.226 0.189 0.270
O10 O 0.234 0.975 0.767
```

Main lines, by angle (10° ≤ 2θ ≤ 90°):
- (2 2 -2), 23.45 deg, I 52
- (1 3 0), 25.13 deg, I 86
- (3 1 0), 27.22 deg, I 24
- (2 0 1), 27.36 deg, I 100
- (0 2 2), 29.12 deg, I 19
- (4 2 -2), 29.44 deg, I 25
- (1 3 1), 30.61 deg, I 40
- (3 3 -1), 30.75 deg, I 23
- (1 1 2), 32.26 deg, I 25
- (5 1 -2), 32.70 deg, I 43
- (1 3 2), 39.53 deg, I 23
- (2 0 -5), 51.78 deg, I 23

=====

Record 3
For Dy2MgS4, a PBE-relaxed structure gives the theoretical powder X-ray diffraction pattern in this record (Cu Kα, 1.54184 Å).

Atomic structure:
a b c (Å): 11.190 11.190 11.190
angles (deg): 90.00 90.00 90.00
Space group Fd-3m (No. 227, origin choice 2)
Symmetry-distinct sites (fractional):
Dy1 0.000 0.000 0.000
Mg1 0.125 0.125 0.625
S1 0.005 0.005 0.245

Main lines, by angle (10° ≤ 2θ ≤ 90°):
- (1 1 1), 13.71 deg, I 100
- (3 1 1), 26.42 deg, I 94
- (2 2 2), 27.61 deg, I 30
- (4 0 0), 31.99 deg, I 84
- (3 3 1), 34.95 deg, I 25
- (5 1 1), 41.95 deg, I 40
- (4 4 0), 45.87 deg, I 75
- (5 3 1), 48.11 deg, I 26
- (4 4 4), 57.02 deg, I 20
- (5 5 3), 63.90 deg, I 22
- (8 4 0), 76.08 deg, I 26
- (8 4 4), 84.91 deg, I 25
'''

Transcribe everything further up verbatim, please.

The following is a calculated powder X-ray diffraction pattern of Ba2Fe8Ni3Sb2O22. It was derived from a cell relaxed with GGA+U, using Cu Kα, 1.54184 Å.

Top 6 peaks for 15 to 90 degrees two-theta, sorted by position:
2theta, intensity, (hkl)
29.92, 100, 1 1 0
30.55, 18, 0 0 5
35.24, 46, 1 1 3
53.11, 39, 3 0 0
56.62, 27, 2 0 7
62.16, 31, 2 2 0

Crystal structure
a = 5.9743 Å, b = 5.9743 Å, c = 14.6243 Å
α = 90.00°, β = 90.00°, γ = 120.00°
Space group P-3m1 (No. 164)
One atom of each set of equivalent atoms:
Ba 0.3333 0.6667 0.4278 (multiplicity 2)
Fe 0.1678 0.3356 0.1711 (multiplicity 6)
Fe 0.3333 0.6667 0.9561 (multiplicity 2)
Ni 0.0000 0.0000 0.0000 (multiplicity 1)
Ni 0.0000 0.0000 0.3734 (multiplicity 2)
Sb 0.3333 0.6667 0.6760 (multiplicity 2)
O 0.0000 0.0000 0.2346 (multiplicity 2)
O 0.0030 0.5015 0.2458 (multiplicity 6)
O 0.1587 0.3173 0.9134 (multiplicity 6)
O 0.1807 0.3615 0.5919 (multiplicity 6)
O 0.3333 0.6667 0.0924 (multiplicity 2)

~~~~~

Record 1
For DyMg2, a PBE-relaxed structure gives the theoretical powder X-ray diffraction pattern in this record (Cu Kα, 1.54184 Å).

Atomic structure:
```
data_DyMg2
_space_group_name_H-M_alt 'P 6/m m m'
_space_group_IT_number 191
_space_group_name_Hall '-P 6 2'
_cell_length_a 5.2236
_cell_length_b 5.2236
_cell_length_c 3.3086
_cell_angle_alpha 90.00
_cell_angle_beta 90.00
_cell_angle_gamma 120.00
loop_
_atom_site_label
_atom_site_type_symbol
_atom_site_fract_x
_atom_site_fract_y
_atom_site_fract_z
Dy1 Dy 0.0000 0.0000 0.0000
Mg1 Mg 0.3333 0.6667 0.5000
```

Main lines, by angle (10° ≤ 2θ ≤ 90°):
- (1 0 0), 19.62 deg, I 98
- (1 0 1), 33.56 deg, I 100
- (1 1 0), 34.34 deg, I 61
- (2 0 0), 39.85 deg, I 16
- (1 1 1), 44.18 deg, I 16
- (2 0 1), 48.77 deg, I 35
- (2 1 0), 53.60 deg, I 14
- (1 0 2), 59.50 deg, I 10
- (2 1 1), 61.00 deg, I 36
- (3 0 0), 61.49 deg, I 11
- (1 1 2), 66.96 deg, I 17
- (3 1 1), 82.16 deg, I 15

=====

Record 2
For MgAlBi12O20, a PBE-relaxed structure gives the theoretical powder X-ray diffraction pattern in this record (Cu Kα, 1.54184 Å).

Atomic structure:
```
data_MgAlBi12O20
_space_group_name_H-M_alt 'C 1 2 1'
_space_group_IT_number 5
_space_group_name_Hall 'C 2y'
_cell_length_a 14.370
_cell_length_b 11.328
_cell_length_c 10.211
_cell_angle_alpha 90.00
_cell_angle_beta 134.41
_cell_angle_gamma 90.00
loop_
_atom_site_label
_atom_site_type_symbol
_atom_site_fract_x
_atom_site_fract_y
_atom_site_fract_z
Mg1 Mg 0.000 0.000 0.000
Al1 Al 0.000 0.774 0.000
Bi1 Bi 0.003 0.529 0.180
Bi2 Bi 0.015 0.218 0.826
Bi3 Bi 0.153 0.887 0.859
Bi4 Bi 0.177 0.803 0.483
Bi5 Bi 0.181 0.524 0.680
Bi6 Bi 0.183 0.154 0.674
O1 O 0.007 0.109 0.366
O2 O 0.025 0.593 0.655
O3 O 0.093 0.875 0.190
O4 O 0.103 0.688 0.999
O5 O 0.131 0.346 0.398
O6 O 0.149 0.026 0.006
O7 O 0.153 0.349 0.879
O8 O 0.184 0.636 0.376
O9 O 0.226 0.189 0.270
O10 O 0.234 0.975 0.767
```

Main lines, by angle (10° ≤ 2θ ≤ 90°):
- (2 2 -2), 23.45 deg, I 52
- (1 3 0), 25.13 deg, I 86
- (3 1 0), 27.22 deg, I 24
- (2 0 1), 27.36 deg, I 100
- (0 2 2), 29.12 deg, I 19
- (4 2 -2), 29.44 deg, I 25
- (1 3 1), 30.61 deg, I 40
- (3 3 -1), 30.75 deg, I 23
- (1 1 2), 32.26 deg, I 25
- (5 1 -2), 32.70 deg, I 43
- (1 3 2), 39.53 deg, I 23
- (2 0 -5), 51.78 deg, I 23

=====

Record 3
For Dy2MgS4, a PBE-relaxed structure gives the theoretical powder X-ray diffraction pattern in this record (Cu Kα, 1.54184 Å).

Atomic structure:
a b c (Å): 11.190 11.190 11.190
angles (deg): 90.00 90.00 90.00
Space group Fd-3m (No. 227, origin choice 2)
Symmetry-distinct sites (fractional):
Dy1 0.000 0.000 0.000
Mg1 0.125 0.125 0.625
S1 0.005 0.005 0.245

Main lines, by angle (10° ≤ 2θ ≤ 90°):
- (1 1 1), 13.71 deg, I 100
- (3 1 1), 26.42 deg, I 94
- (2 2 2), 27.61 deg, I 30
- (4 0 0), 31.99 deg, I 84
- (3 3 1), 34.95 deg, I 25
- (5 1 1), 41.95 deg, I 40
- (4 4 0), 45.87 deg, I 75
- (5 3 1), 48.11 deg, I 26
- (4 4 4), 57.02 deg, I 20
- (5 5 3), 63.90 deg, I 22
- (8 4 0), 76.08 deg, I 26
- (8 4 4), 84.91 deg, I 25